Page 3 of With Kol (Daniels Family 2)
Leaning forward, I kiss her cheek and get a whiff of her sweet peach scent, and I’m gone after pressing the device back into her palm.
More settled than I have been in a long time, I run back home, knowing I didn’t get my full workout in for the day but seeing that the egg is washed off my truck.
With a salute to the grumbling kid across the street and his still-laughing mother, I head inside to get changed and ready for a case I have no desire working.
* * *
It’s not like I ever expected to see him again. I shouldn’t even be thinking about him. Not like that. Ember was a safe place for me for so long that I got complacent. Until I saw one of his men, and I had to leave almost a year ago.
I was smart this time. I didn’t leave Knoxville like I had the other places. I just moved to another side of the city, dropped all my GED courses, and essentially, started over new, thirty minutes away.
I don’t know how these people keep finding me, or why they even look at all. It’s not like they care what happens to me. I’m nothing to them, never have been. But I live in constant fear of what will happen should I get caught.
Cutting ties with Ember was for the best, even if it broke my heart.
Ember may not have known my story, and she may not have been privy to who I really am, but she was a genuine friend to me. One like I never had before. I’ll always regret disappearing on her the way I did, but it was for the best.
Except, now, Kol knows where I am. He has my number and wants to see me. I know it won’t be long before Ember finds out. She’ll be upset, hurt. Rightfully so. I threw our friendship in her face and left without a word.
Pacing back and forth in my apartment, I debate tossing my phone, packing up, and hightailing it again. I should go. It would be the right thing to do. I’m only going to get others hurt when he finds me this time.
I check the news about once a month for anything on Mom and Richard, and none of it pertains to the possibility of me being alive, or that they’ve picked up the search for my missing body. I often wonder what our life would have been like if my mother’d never met Richard. He’s an evil, vile man, and I’d alw
ays seen it. I don’t know how she didn’t. Maybe she had and ignored the signs of his predilections, but she could have made so many choices to protect me, and that’s something I’ve never understood.
I want a life of peace. To not live in fear every night before I go to sleep. I want to be able to crawl up in a bed without fighting off the urge to vomit. I want to be able to walk outside, close my eyes, and let the breeze carry me away with its calming presence.
== Data records, as found in the file ==
-- begin --
Entry from OMol25: a 9-piece molecular cluster, C40H47N8O16 overall at a distorted geometry (the ωB97M-V functional and the def2-TZVPD basis).

- LUMO energy (eV) = 0.58
- HOMO energy (eV) = -6.249
- energy (Eh) = -3193.1612
- net charge = -1

Positions of all 111 atoms, in Å:
1 H -3.4338 0.4071 -1.5848
2 H -6.3130 2.8167 -4.0720
3 C -0.9042 3.7478 4.1604
4 O -0.0095 0.2758 -0.9786
5 H -0.8662 -3.2195 6.4520
6 N 4.0542 1.9231 -0.3137
7 C -1.6874 -2.9736 2.9522
8 H -1.2879 6.9879 2.4537
9 O -1.4248 -0.8731 6.0131
10 C -0.8725 2.9085 2.9628
11 C 1.5605 -0.7691 3.7303
12 O -2.0291 6.8186 -0.1098
13 O -1.4720 0.3271 0.7698
14 O 3.0739 -5.2866 5.9742
15 H -1.0200 2.9606 0.4934
16 H -0.9857 5.6659 4.9548
17 H 2.5881 0.5297 0.3452
18 C -2.7456 2.3893 -2.3373
19 C -1.4132 -2.5006 4.4012
20 H 1.4694 1.9821 -7.5599
21 C 2.2634 -3.0360 5.5519
22 H -1.7796 -4.7374 1.5045
23 H -0.9887 -2.6201 -2.7641
24 H -4.6947 4.4572 -4.5792
25 H 0.7809 2.6987 -2.4026
26 H 2.6563 0.9052 -1.3053
27 H -2.3087 4.2868 -3.5086
28 O 4.7364 0.6601 1.5916
29 H -0.9924 1.8771 3.1556
30 C 4.4232 -3.5516 -2.3586
31 C 1.1424 2.7375 -3.3843
32 N 0.5358 -0.2113 -6.1125
33 H 1.7868 -1.5671 -1.5473
34 H 4.4709 -2.8803 0.4235
35 H -4.2716 -3.4338 -3.7611
36 N 3.5961 -2.6799 -1.4961
37 O 1.2735 -0.6875 -6.9367
38 H 2.0458 -2.0575 2.2856
39 H 1.9911 4.6879 -3.8406
40 H -0.6336 3.2868 4.9709
41 N -3.0459 -2.5942 -2.1711
42 H -1.2018 0.0797 1.6354
43 C 5.0087 1.4866 0.6427
44 C 1.6777 3.7945 -4.3464
45 C 0.8941 1.1125 -5.5273
46 H -2.0016 -2.3606 -4.0899
47 O -1.8419 -0.2679 3.9653
48 C -4.2882 3.6344 -3.9487
49 C -1.1312 5.3038 4.0209
50 H -1.0940 -6.3973 3.4773
51 H 3.1525 -1.8542 0.2384
52 C -3.0504 3.5353 -3.2630
53 H 1.2929 0.3446 5.6964
54 C -2.8573 -2.4287 -0.8566
55 C 1.4172 2.1555 -6.4636
56 C 1.8559 3.5396 -5.6583
57 O -0.4542 -0.8293 -5.7737
58 O -6.0111 0.0005 -1.0217
59 H 3.5646 3.0365 -1.9340
60 C 2.7328 1.2978 -0.3048
61 N -1.6055 -1.1644 4.7737
62 C -1.6750 -4.4878 2.5288
63 H 5.2869 2.6227 -1.8568
64 H 2.2858 4.1814 -6.2444
65 C 1.9512 -1.7506 6.1223
66 C 2.3764 -3.2362 4.0867
67 H -0.7452 -5.6503 5.9115
68 H 2.3883 -4.1594 3.6520
69 H 0.4049 0.3878 -3.3242
70 H 4.6911 -1.5140 -0.4322
71 O -3.7597 -2.5642 -0.0026
72 O 3.0698 -3.8286 7.4982
73 C 0.7500 1.3452 -4.0182
74 O 1.8871 -2.6861 -3.1068
75 H 4.5047 -3.1396 -3.3998
76 C 1.6484 -0.5013 5.2590
77 H -5.0900 -2.2442 -2.3707
78 C -1.8982 -2.1941 -3.0597
79 C -0.9780 3.5086 1.5309
80 H -1.9805 -2.2350 2.2788
81 H 5.8813 1.9287 0.6346
82 H 3.9576 -4.5174 -2.4881
83 C -4.3042 -2.8920 -2.8395
84 N -6.1778 0.4942 -2.1432
85 C -3.7832 1.3287 -2.0284
86 N 2.7547 -4.1812 6.3473
87 C -1.3857 5.0489 1.3368
88 C -1.2859 5.9230 2.6541
89 H -4.6969 -3.7727 -2.3675
90 H 1.0812 -0.1794 3.1946
91 C 1.9762 -2.0085 3.2241
92 H 2.0240 2.1272 -0.2546
93 C 4.3286 2.8529 -1.2971
94 H 5.3357 -3.6974 -1.7768
95 C 2.3856 -2.2858 -2.0714
96 C -1.2940 -5.4644 3.7098
97 N -1.5488 5.6412 0.0130
98 H -1.4764 -1.1991 -3.0372
99 H -1.6435 2.1319 -2.0600
-- stop --
Until Richard is behind bars, I know I’ll never have that.
The sounds of my neighbors fighting on any and all sides can be heard through the paper-thin walls of the dilapidated building I live in. It’s the worst of the worst, and as much as I hate it, I know I must stay for now.
The ringing of my pre-paid cell phone in my hand startles me, and I drop it to the floor. I see Kol’s name flash on the screen, and as much as I want to send the call to voicemail, I need to set him straight. Tell him this can’t come to anything.
“Hello?” With the noises around me, my voice can barely be heard.
“What is going on there?” He sounds mad.
“Paper-thin walls and fighting neighbors on all sides it seems.”
“I want to see you. Take you for dinner tomorrow night. Will you text me your address?” I think it’s a demand.
“Listen, Kol–”
“Damn does that sound good.”
“What?” I don’t understand.
“My name coming from your sweet lips in that husky voice.” I blink, completely flustered. “Your address, don’t forget.” There’s yelling in the background, and before I can say anything, he tells me, “Look, I’ve got to go. I’ll see you tomorrow, blue eyes.”
I gaze at my phone as I hear the click. Doing as he asked, I send my address. I guess I’ll have to tell him in person.
I never got the chance to date as a teenager. Richard didn’t allow me to, and Mom just shrugged her shoulders and let him have his way. I wasn’t Miss Popular at school, so boys weren’t beating down my door, anyway.
I never felt like I missed much, though.